Monday, June 22, 2009

Dental Drama

It's 2:20 a.m., here in New York City. I had a dental appt. on saturday. The visit was for teeth extraction. The Dental Surgeon, removed 2 molars on the left side in my upper gum and 1 molar in my bottom gum on the same side. It was okay, 'cause there was no pain whatsoever. Bleeding was minimal. Some swelling, but it went down quickly that same day. I can't eat solids, 'cause I have a stitch where each molar was. I got 2 prescriptions filled. Ibuprofen for pain and Amoxicillan to prevent infection. I bought yogurt and soup before going to my appt. I've been eating that since saturday. I haven't purged for 4 days. I got my period on saturday morning, so I haven't seen the numbers go down on the scale. I feel alot lighter. I know that once I finish with my period, that the numbers on the scale will start going down fast. I bought a bag of prunes, to help accelerate the weight loss, but not eating them yet. After my appt., I went shoping by myself. I needed to get Father's Day gifts for my dad, brother-in-law and my fiance. Got everything, went home and cooked a quick meal. I made cheesy rice with broccoli, from 2 packets that I bought and 2 family-size boxes of salisbury steak. Everything was done in less than 30 mins. Of course I did not even touch that food. I ate my soup, like a good girl. My total for the day were 255 calories. On sunday, I went to church for Bible class and afternoon service. There was a special dinner in honor of all the fathers. At my table this lady with her 3 whiny kids sat across from me. I got upset as soon as I saw them sit down. They have no manners and the mother has no control over the kids. I would've left, but my son wanted to eat dinner and cake w/ice cream. It didn't help that we had to wait a long time to get served. I left with a headache and a bad mood. I did not eat and took a plate of food to my fiance. Went home and was thinking that we would all get together at my mom's. I called one of my sisters and she said that she would not be coming over. She told me that she was going to my dad's apartment. So, I quickly got the gifts into a reusable bag and put a snack together and headed over to my dad's with my fiance & son. My sister was there with her husband & son. We had a good time and my dad was happy to see us there. They also had food and cake. I was offered both, but used my teeth extraction as an excuse and politely declined. This dental procedure is a blessing in disguise. It's helping me to say "NO" to food and I have a justifiable reason. The stitches will fall off on their own. I was told that it will take 7-10 days for that to happen. Wonder how many pounds I can lose in that time. I'm drinking lots of water & green tea with berry tea, and they both have zero calories. I get a little hungry, but it makes me feel good to deny myself all that fattening food. My mother sasw me eating a bowl of mixed veggies the other night. She asked if that was all that I would be having for dinner. I said "yes" and she said that I needed to eat meat. I told her "NO, there's no need for meat. I can get protein from beans and dairy products". First she used to say that I was eating too much food and junk food. Now she's critisizing my food choices. She needs to make up her mind & mind her business. She tells me to not get as skinny as I was before like in 1998. But that's exactly what I plan to do. I'm 5 feet 6 inches and I don't think 150 lbs is too skinny. I felt good at that weight. Might go down to 145 lbs., but no lower than that. I still have a ways to go, but know that I can do it!!! I'm happy to see that I now have 19 followers. I wish to thak each one of you who read my blog and those who write me comments. I appreciate your encouragements and tips! Take care my sisters!!!


  1. This comment has been removed by the author.

  2. 150 is so NOT too low. I am the same height as you and my ultimate goal weight is 130 (though apparently 115 is still considered healthy).

    I read a comment you had left on someone's else page about how you used Ana to lose 92 lbs once before. Will you share your story with me? It is very similar to where I am right now. Before I had kids, I was 145 and a size 10 and I was pretty much happy with my weight (though some days I still felt like a cow!!) I'd really love to talk to you about what you have been through.

  3. OH hey I didn't notice that you have to approve comments! I kept posting because I thought something was wrong with my browser!! Ooops!!

  4. I'm almost 5'6 and weight 145. I got down to 135 but I had no muscle tone. I was skinnier and fit into smaller stuff but like I said, no muscle tone so I could squish into whatever. It was kinda gross. I thought it would be ok to weight a bit more and be toned. I don't look fat, apparently. I still feel fat. I've been in and out of fatness and skinniness and my parents change their minds too. It annoys me. I go through times where I am very hard on my body and I'm focused on doing everything and anything to lose the weight. Now, I still feel like even though I'm apparently "not fat" it's not good enough because it apparently "never will be". Ultimately I just want to be happy at around 140 fit and toned. How I will get to that and how long it will take, I do not know. Good luck to you. Don't kill yourself in the process of reaching your goal.

  5. Ahhh, the drama of family dynamics ! Are you still planning a move to Pa.? I can't immagine living in N.Y.C. What a fantastic city, it would wear me out living there.

Between two parts of the entry: materials data:
-- begin --
# HfMg6CO8
Calculated powder diffraction line list, Cu Kα (λ = 1.5418 Å). Input: a DFT-relaxed cell (PBE, Alexandria).
Peak positions follow from Bragg's law for the DFT cell and can differ from measured ones.

Atomic structure:
```
HfMg6CO8
1.0
4.1942 0.0000 0.0000
0.0000 4.1942 0.0000
0.0000 0.0000 9.6914
Hf Mg C O
1 6 1 8
Direct
0.0000 0.0000 0.0000
0.0000 0.5000 0.2876
0.0000 0.5000 0.7124
0.5000 0.0000 0.2876
0.5000 0.0000 0.7124
0.5000 0.5000 0.0000
0.5000 0.5000 0.5000
0.0000 0.0000 0.5000
0.0000 0.0000 0.2111
0.0000 0.0000 0.7889
0.0000 0.5000 0.0000
0.0000 0.5000 0.5000
0.5000 0.0000 0.0000
0.5000 0.0000 0.5000
0.5000 0.5000 0.2676
0.5000 0.5000 0.7324
```

Most intense lines, 15 to 90 degrees two-theta, low angle first:
21.18°, I 36
23.11°, I 100
28.14°, I 38
31.55°, I 55
35.49°, I 44
37.11°, I 41
43.13°, I 77
58.18°, I 39

# HfMn22C6
Calculated powder diffraction line list, Cu Kα (λ = 1.5418 Å). Input: a DFT-relaxed cell (PBE, Alexandria).
Peak positions follow from Bragg's law for the DFT cell and can differ from measured ones.

Atomic structure:
```
HfMn22C6
1.0
0.0000 5.2388 5.2388
5.2388 0.0000 5.2388
5.2388 5.2388 0.0000
Hf Mn C
1 22 6
Direct
0.0000 0.0000 0.0000
0.0000 0.0000 0.3499
0.0000 0.0000 0.6501
0.0000 0.3499 0.0000
0.0000 0.3499 0.6501
0.0000 0.6501 0.0000
0.0000 0.6501 0.3499
0.1484 0.6172 0.6172
0.2500 0.2500 0.2500
0.3499 0.0000 0.0000
0.3499 0.0000 0.6501
0.3499 0.6501 0.0000
0.3828 0.3828 0.3828
0.3828 0.3828 0.8516
0.3828 0.8516 0.3828
0.6172 0.1484 0.6172
0.6172 0.6172 0.1484
0.6172 0.6172 0.6172
0.6501 0.0000 0.0000
0.6501 0.0000 0.3499
0.6501 0.3499 0.0000
0.7500 0.7500 0.7500
0.8516 0.3828 0.3828
0.2704 0.2704 0.7296
0.2704 0.7296 0.2704
0.2704 0.7296 0.7296
0.7296 0.2704 0.2704
0.7296 0.2704 0.7296
0.7296 0.7296 0.2704
```

Most intense lines, 15 to 90 degrees two-theta, low angle first:
28.25°, I 17
29.53°, I 9
42.26°, I 35
44.96°, I 100
49.19°, I 26
52.39°, I 15
77.27°, I 22
79.17°, I 15

----------

Starting from DFT lattice parameters and positions (PBE), the powder diffractogram of TaTlO4 was calculated for copper Kα.
No peak broadening, texture or thermal motion is included.

Cell and atoms:
```
data_TaTlO4
_symmetry_space_group_name_H-M 'P b c n'
_symmetry_Int_Tables_number 60
_cell_length_a 5.028
_cell_length_b 5.856
_cell_length_c 10.991
_cell_angle_alpha 90.00
_cell_angle_beta 90.00
_cell_angle_gamma 90.00
loop_
_symmetry_equiv_pos_as_xyz
'x,y,z'
'-x,-y,-z'
'-x+1/2,-y+1/2,z+1/2'
'x+1/2,y+1/2,-z+1/2'
'x+1/2,-y+1/2,-z'
'-x+1/2,y+1/2,z'
'-x,y,-z+1/2'
'x,-y,z+1/2'
loop_
_atom_site_label
_atom_site_type_symbol
_atom_site_fract_x
_atom_site_fract_y
_atom_site_fract_z
Ta1 Ta 0.000 0.136 0.250
Tl1 Tl 0.000 0.500 0.000
O1 O 0.169 0.196 0.090
O2 O 0.241 0.427 0.311
```

Peak list (10 most intense, 2θ = 5–70°, by angle)
(1 1 1), 2θ = 24.7°, intensity 31
(1 1 2), 2θ = 28.5°, intensity 100
(0 0 4), 2θ = 32.6°, intensity 23
(2 0 0), 2θ = 35.7°, intensity 15
(2 0 4), 2θ = 49.1°, intensity 17
-- stop --

    You wondered about changing the name of your blog, how about Hungry Hungry Hippo like the 70'S kids game ? I loved that game, my gandparents hated it because it was loud.

    Good luck with everything, I'll be reading.

  6. hi. Movicol is this bulking agent it comes in drink form and it helps bulk up ur stools so u can pass them. They arent that effective for me as I totally abuse them and now have to take like 18 when ur only meant to need 1 or 2 a day! xx
